_To do_
The reader should set down the lines underneath from the one with "-0.589" to the one with "0.128" without altering anything.
_Input_
/*
Record 1
Here is an isolated molecule of C22H20N2O5 at a distorted geometry from the Open Molecules 2025 dataset. Energies are from ωB97M-V/def2-TZVPD.

Calculated values
SMILES string ... O=C(c1cc2ccccc2oc1=O)N1CCN(Cc2ccc3c(c2)OCO3)CC1
E_tot ... -36355.9652 eV
Energy above the lowest of the compared OMol25 structures with the same formula, charge and spin ... 57.6 kcal per mole
Highest occupied orbital energy ... -8.2 eV
LUMO energy ... -0.355 eV
Total charge ... 0
Molar mass ... 392.4 g/mol
Frontier orbital gap ... 7.87 eV

Each line ends with the Löwdin charge.
Cartesian coordinates (Å):
O  -1.525  -3.285  1.367  0.076
C  -1.222  -2.556  0.438  -0.427
C  0.222  -2.314  0.101  -0.039
C  1.078  -1.908  1.065  0.058
C  2.455  -1.666  0.763  -0.145
C  3.380  -1.178  1.692  -0.018
C  4.681  -0.942  1.315  -0.079
C  5.087  -1.188  0.005  -0.065
C  4.195  -1.669  -0.929  0.013
C  2.875  -1.910  -0.555  -0.180
O  2.025  -2.384  -1.494  0.144
C  0.703  -2.620  -1.247  -0.400
O  0.029  -3.061  -2.145  0.136
N  -2.123  -1.890  -0.306  -0.038
C  -1.805  -0.908  -1.319  -0.109
C  -2.829  0.243  -1.240  -0.147
N  -3.340  0.443  0.100  -0.154
C  -2.337  0.803  1.107  -0.140
C  -1.341  1.811  0.605  -0.221
C  -1.764  3.056  0.161  -0.041
C  -0.873  4.006  -0.330  0.019
C  0.458  3.662  -0.357  -0.202
C  0.893  2.417  0.095  -0.188
C  0.017  1.479  0.579  0.055
O  2.255  2.332  -0.039  0.032
C  2.664  3.567  -0.589  -0.158
O  1.536  4.392  -0.785  0.036
C  -4.126  -0.717  0.495  -0.147
C  -3.537  -2.045  -0.040  -0.098
H  0.723  -1.743  2.074  0.143
H  3.053  -0.990  2.703  0.119
H  5.392  -0.565  2.034  0.104
H  6.110  -0.999  -0.282  0.107
H  4.491  -1.866  -1.947  0.123
H  -0.803  -0.514  -1.139  0.114
H  -1.818  -1.372  -2.312  0.127
H  -3.692  0.030  -1.875  0.124
H  -2.368  1.166  -1.593  0.116
H  -2.895  1.238  1.946  0.131
H  -1.796  -0.075  1.486  0.118
H  -2.818  3.284  0.192  0.120
H  -1.206  4.970  -0.675  0.119
H  0.374  0.526  0.932  0.103
H  3.165  3.391  -1.554  0.140
H  3.368  4.061  0.100  0.140
H  -5.139  -0.588  0.099  0.116
H  -4.190  -0.739  1.583  0.118
H  -3.652  -2.848  0.688  0.121
H  -4.030  -2.336  -0.973  0.128

---

Record 2
Here is an isolated molecule of C22H20N2O5S from the Open Molecules 2025 dataset. Energies are from ωB97M-V/def2-TZVPD.

Calculated values
SMILES string ... C[C@H](Oc1ccc(C(=O)c2ccccc2)cc1)C(=O)Nc1ccc(S(N)(=O)=O)cc1
E_tot ... -47191.9449 eV
Energy above the lowest of the compared OMol25 structures with the same formula, charge and spin ... 19.0 kcal per mole
Highest occupied orbital energy ... -9.0 eV
LUMO energy ... -0.245 eV
Total charge ... 0
Molar mass ... 424.5 g/mol
Frontier orbital gap ... 8.77 eV

Each line ends with the Löwdin charge.
Cartesian coordinates (Å):
C  1.553  -3.487  4.379  -0.005
C  0.727  -3.284  3.111  -0.278
O  1.628  -2.923  2.070  -0.017
C  1.135  -2.405  0.909  -0.254
C  -0.206  -2.425  0.531  0.003
C  -0.618  -1.679  -0.553  0.015
C  0.286  -0.932  -1.309  -0.140
C  -0.266  -0.052  -2.360  -0.298
O  -1.415  -0.204  -2.757  0.050
C  0.567  1.043  -2.899  -0.158
C  1.466  1.763  -2.115  -0.054
C  2.160  2.827  -2.658  -0.064
C  1.974  3.181  -3.984  -0.071
C  1.075  2.477  -4.768  -0.066
C  0.366  1.424  -4.225  -0.008
C  1.647  -1.054  -1.022  -0.018
C  2.063  -1.769  0.080  0.014
C  -0.351  -2.206  3.324  -0.450
O  -1.484  -2.486  3.629  0.107
N  0.113  -0.935  3.102  0.152
C  -0.578  0.049  2.385  -0.218
C  -1.955  -0.016  2.176  0.007
C  -2.546  0.831  1.256  -0.042
C  -1.774  1.753  0.579  -0.284
S  -2.475  2.711  -0.750  0.615
N  -3.355  1.531  -1.531  -0.047
O  -1.387  3.190  -1.563  -0.297
O  -3.416  3.670  -0.253  -0.298
C  -0.430  1.897  0.859  -0.059
C  0.175  1.042  1.759  -0.006
H  0.900  -3.795  5.190  0.094
H  2.302  -4.255  4.208  0.088
H  2.056  -2.564  4.656  0.087
H  0.206  -4.218  2.859  0.163
H  -0.937  -2.984  1.093  0.124
H  -1.664  -1.640  -0.817  0.130
H  1.591  1.513  -1.073  0.098
H  2.845  3.391  -2.041  0.106
*/
_Written answer_
C  2.664  3.567  -0.589  -0.158
O  1.536  4.392  -0.785  0.036
C  -4.126  -0.717  0.495  -0.147
C  -3.537  -2.045  -0.040  -0.098
H  0.723  -1.743  2.074  0.143
H  3.053  -0.990  2.703  0.119
H  5.392  -0.565  2.034  0.104
H  6.110  -0.999  -0.282  0.107
H  4.491  -1.866  -1.947  0.123
H  -0.803  -0.514  -1.139  0.114
H  -1.818  -1.372  -2.312  0.127
H  -3.692  0.030  -1.875  0.124
H  -2.368  1.166  -1.593  0.116
H  -2.895  1.238  1.946  0.131
H  -1.796  -0.075  1.486  0.118
H  -2.818  3.284  0.192  0.120
H  -1.206  4.970  -0.675  0.119
H  0.374  0.526  0.932  0.103
H  3.165  3.391  -1.554  0.140
H  3.368  4.061  0.100  0.140
H  -5.139  -0.588  0.099  0.116
H  -4.190  -0.739  1.583  0.118
H  -3.652  -2.848  0.688  0.121
H  -4.030  -2.336  -0.973  0.128